Certaintly, the time when things were starting to turn on its head was when the economic calamidy happened. The fact that we have a sitting Republican president will get blamed by the majority, even though most even handed analysts say this problem was induced by all parties involved. To admit otherwise, most wouldn't take you seriously. Nonetheless, the fact that we are heading into a recession, the Dow has dropped 20% over the past couple weeks, credit is in the toilet, the housing market is in the outhouse, this is what you get. And the thing is, it's on every front page paper, every single day. And when people check their 401K's, they get pissed. And the Bush Administration would be the face of their anger, rightly or wrongly.
What comes next are data records, not part of the page:
┌──
Version 1
# LiEuDy

A relaxed LiEuDy crystal (PBE, Alexandria via LeMat-Bulk).

- ρ (Mg/m³) = 5.78
- symmetry = I4mm (107)

abc: 3.7754 3.7754 12.9468
angles: 90.00 90.00 90.00
Fractional positions:
Li 0.0000 0.0000 0.0000
Li 0.5000 0.5000 0.5000
Eu 0.0000 0.0000 0.3404
Eu 0.5000 0.5000 0.8404
Dy 0.0000 0.0000 0.6400
Dy 0.5000 0.5000 0.1400


Version 2
# LiEuDy

A relaxed LiEuDy crystal (PBE, Alexandria via LeMat-Bulk).

- ρ (Mg/m³) = 5.71
- symmetry = P3m1 (156)

abc: 5.5881 5.5881 3.4571
angles: 90.00 90.00 120.00
Fractional positions:
Li 0.0000 0.0000 0.0000
Eu 0.3333 0.6667 0.2576
Dy 0.6667 0.3333 0.6688


The most stable arrangement is version 1, and the next structure is 72 meV/atom less stable.


Version 1
# Li2EuDy

A relaxed Li2EuDy crystal (PBE, Alexandria via LeMat-Bulk).

- ρ (Mg/m³) = 4.74
- symmetry = P4/mmm (123)

abc: 3.8306 3.8306 7.8445
angles: 90.00 90.00 90.00
Fractional positions:
Li 0.0000 0.0000 0.2287
Li 0.0000 0.0000 0.7713
Eu 0.5000 0.5000 0.5000
Dy 0.5000 0.5000 0.0000


Version 2
# Li2EuDy

A relaxed Li2EuDy crystal (PBE, Alexandria via LeMat-Bulk).

- ρ (Mg/m³) = 4.78
- symmetry = Fm-3m (225)

abc: 7.6981 7.6981 7.6981
angles: 90.00 90.00 90.00
Fractional positions:
Li 0.2500 0.2500 0.2500
Li 0.2500 0.2500 0.7500
Li 0.2500 0.7500 0.2500
Li 0.2500 0.7500 0.7500
Li 0.7500 0.2500 0.2500
Li 0.7500 0.2500 0.7500
Li 0.7500 0.7500 0.2500
Li 0.7500 0.7500 0.7500
Eu 0.0000 0.0000 0.0000
Eu 0.0000 0.5000 0.5000
Eu 0.5000 0.0000 0.5000
Eu 0.5000 0.5000 0.0000
Dy 0.0000 0.0000 0.5000
Dy 0.0000 0.5000 0.0000
Dy 0.5000 0.0000 0.0000
Dy 0.5000 0.5000 0.5000


The most stable arrangement is version 1, and the next structure is 28 meV/atom less stable.


Version 1
# LiEu2Dy

A relaxed LiEu2Dy crystal (PBE, Alexandria via LeMat-Bulk).

- ρ (Mg/m³) = 5.76
- symmetry = P4/mmm (123)

abc: 3.8078 3.8078 9.4189
angles: 90.00 90.00 90.00
Fractional positions:
Li 0.0000 0.0000 0.0000
Eu 0.5000 0.5000 0.2287
Eu 0.5000 0.5000 0.7713
Dy 0.0000 0.0000 0.5000


Version 2
# LiEu2Dy

A relaxed LiEu2Dy crystal (PBE, Alexandria via LeMat-Bulk).

- ρ (Mg/m³) = 5.65
- symmetry = Fm-3m (225)

abc: 8.2242 8.2242 8.2242
angles: 90.00 90.00 90.00
Fractional positions:
Li 0.0000 0.0000 0.0000
Li 0.0000 0.5000 0.5000
Li 0.5000 0.0000 0.5000
Li 0.5000 0.5000 0.0000
Eu 0.2500 0.2500 0.2500
Eu 0.2500 0.2500 0.7500
Eu 0.2500 0.7500 0.2500
Eu 0.2500 0.7500 0.7500
Eu 0.7500 0.2500 0.2500
Eu 0.7500 0.2500 0.7500
Eu 0.7500 0.7500 0.2500
Eu 0.7500 0.7500 0.7500
Dy 0.0000 0.0000 0.5000
Dy 0.0000 0.5000 0.0000
Dy 0.5000 0.0000 0.0000
Dy 0.5000 0.5000 0.5000


The most stable arrangement is version 1, and the next structure is 108 meV/atom less stable.


Version 1
# Eu2DyLu

A relaxed Eu2DyLu crystal (PBE, Alexandria via LeMat-Bulk).

- ρ (Mg/m³) = 7.72
- symmetry = P4/mmm (123)

abc: 3.6236 3.6236 10.5103
angles: 90.00 90.00 90.00
Fractional positions:
Eu 0.0000 0.0000 0.2467
Eu 0.0000 0.0000 0.7533
Dy 0.5000 0.5000 0.5000
Lu 0.5000 0.5000 0.0000


Version 2
# Eu2DyLu
└──
So, what needs to happen for McCain to get back into this thing? Here's some reasons to not feel totally deflated and depressed.
- With a spiraling economy, unpopular war, 8 years of a now unpopular president, McCain still is on average down 6 points when you take in account all polls. This includes Gallup, Hotline, Rasmussen, Wash Post, CBS News, Quinnipiac, etc.
- Ford trailed Carter 30 days out of the election by 30 points. Carter ended up winning by 1 point.
- McCain still leads big over Obama when it comes to who people see as a leader and Commander in Chief. This is no small thing.
- Obama is stalling. He is playing very catious. No bold moves. You know what happens when a defense in football plays prevent defense? They usually get burned in the end.
- Obama has so many ties to radicals, Marxists, very left leaning people and groups: William Ayers, Jeremiah Wright, Father Pfleger, Rashid Khalidi, Tony Rezko, attended the Million Man March with Farakhan, ACORN, Saul Alinsky.
**Here the entry breaks off for crystal structures:**
........
(1)
{
  "formula": "Cu2Si",
  "functional": "SCAN",
  "state": "PBEsol geometry",
  "lattice_angstrom": [[3.584, 0.000, 0.000], [0.000, 3.584, 0.000], [0.000, 0.000, 5.823]],
  "species": ["Cu", "Cu", "Cu", "Cu", "Si", "Si"],
  "frac_coords": [[0.000, 0.000, 0.000], [0.500, 0.500, 0.000], [0.500, 0.000, 0.310], [0.000, 0.500, 0.690], [0.500, 0.000, 0.707], [0.000, 0.500, 0.293]],
  "e_form_raw_ev_per_atom": 0.0332,
  "magnetic_moment_mub_per_fu": 0.00
}

(2)
{
  "formula": "Cu8Si",
  "functional": "SCAN",
  "state": "PBEsol geometry",
  "lattice_angstrom": [[3.590, 0.000, 0.000], [1.795, 5.334, 0.000], [1.795, 0.000, 5.334]],
  "species": ["Cu", "Cu", "Cu", "Cu", "Cu", "Cu", "Cu", "Cu", "Si"],
  "frac_coords": [[0.335, 0.000, 0.330], [0.665, 0.000, 0.670], [0.667, 0.333, 0.333], [0.335, 0.330, 0.000], [0.000, 0.333, 0.667], [0.665, 0.670, 0.000], [0.333, 0.667, 0.667], [0.000, 0.667, 0.333], [0.000, 0.000, 0.000]],
  "e_form_raw_ev_per_atom": -0.0424,
  "magnetic_moment_mub_per_fu": 0.00
}

(3)
{
  "formula": "Cu3Si4",
  "functional": "SCAN",
  "state": "PBEsol geometry",
  "lattice_angstrom": [[4.762, 0.000, 0.000], [0.000, 4.762, 0.000], [0.000, 0.000, 4.762]],
  "species": ["Cu", "Cu", "Cu", "Si", "Si", "Si", "Si"],
  "frac_coords": [[0.000, 0.500, 0.000], [0.000, 0.000, 0.500], [0.500, 0.000, 0.000], [0.000, 0.000, 0.000], [0.000, 0.500, 0.500], [0.500, 0.000, 0.500], [0.500, 0.500, 0.000]],
  "e_form_raw_ev_per_atom": 0.6210,
  "magnetic_moment_mub_per_fu": 0.00
}

(4)
{
  "formula": "Cu5Si",
  "functional": "SCAN",
  "state": "PBEsol geometry",
  "lattice_angstrom": [[-0.568, -1.858, 1.724], [3.685, -1.677, -0.594], [2.716, 4.591, 3.885]],
  "species": ["Cu", "Cu", "Cu", "Cu", "Cu", "Si"],
  "frac_coords": [[0.998, 0.000, 0.996], [0.333, 0.000, 0.665], [0.664, 0.000, 0.327], [0.448, 0.500, 0.896], [0.778, 0.500, 0.556], [0.113, 0.500, 0.227]],
  "e_form_raw_ev_per_atom": -0.0152,
  "relative_energy_mev_per_atom": 53,
  "magnetic_moment_mub_per_fu": 0.00
}

no.,VASP energy (eV for the cell shown)
1,-80.6
2,-132.0
3,-81.3
4,-86.1
........
- Obama has lied about his relationships- Not knowing of Wrights racists rants in church, saying Ayers was only someone in his neighborhood, when everyone knows he was MUCH more than that.
- ACORN- Already voter fraud allegations in 13 states. This includes battleground states Ohio, Nevada, Missouri, and Florida.
- ACORN cont- Several ACORN members have already been arrested for voter fraud.
- Country wants more bipartisanship- McCain provides this. Is against his party and with Democrats on GITMO, Global Warming, Against Constitutional amendment defining marriage, torture, against drilling in ANWR, part of gang of 14 on judges, pro-embryonic stem cell, etc..
- Obama has not opposed his Democrat party-line on ANYTHING, despite his call for change.
- Obama, without a doubt, is the most liberal candidate in history. Fact is, our country is still a center-right country.
- Bradley effect- Nobody knows what having a black candidate will result at the polls. There are many white democrats who just can't see themselves voting for Obama because of race, much less independents. Many say the Bradley effect (where voters won't admit to pollsters that they won't vote for a black candidate), can result as much as 3-5 points in certain states.